Wednesday, August 26, 2009

History: What Would Pass for Nice Booty

I know everybody loves the stuff and I'll probably draw some wrath from the "Pirates of the Caribbean" crowd but I honestly think that popular fiction has dumbed pirates down to a reprehensible degree. The belief that every ship was
full of gold that could then be spent without question ashore sort of makes these guys look like all they had to do was shoot a man or two and their ship had come in - so to speak. Either that or just be crotchety British actors who turned to skeletons at night. Hell, skeletons don't even need grog, do they? Sometimes history is far, far more interesting than mass market, made to make money fiction, regardless of Disney's ability to afford CGI. Told you I wouldn't be popular after this one.

_Misplaced records of crystals_
'''
# Mn2PbF7
Calculated PXRD pattern, Cu Kα X-rays. Input: a GGA+U-relaxed structure.
No peak broadening, texture or thermal motion is included.

Structural model:
abc: 3.677 3.677 18.202
angles: 90.00 90.00 90.00
Space group I4/mmm (No. 139)
Symmetry-distinct sites (fractional):
Mn  0.000  0.000  0.172 x4
Pb  0.000  0.000  0.500 x2
F  0.000  0.000  0.000 x2
F  0.000  0.500  0.115 x8
F  0.000  0.500  0.250 x4

Most intense lines, 10 to 90 degrees two-theta, most intense first:
d = 3.144 Å, 2θ 28.38, intensity 100; d = 1.974 Å, 2θ 45.97, intensity 48; d = 1.587 Å, 2θ 58.13, intensity 27; d = 3.604 Å, 2θ 24.70, intensity 26; d = 1.838 Å, 2θ 49.59, intensity 24; d = 2.500 Å, 2θ 35.93, intensity 23; d = 2.257 Å, 2θ 39.94, intensity 22; d = 1.772 Å, 2θ 51.58, intensity 19; d = 3.034 Å, 2θ 29.44, intensity 18; d = 2.600 Å, 2θ 34.50, intensity 16; d = 4.550 Å, 2θ 19.51, intensity 14; d = 1.276 Å, 2θ 74.35, intensity 13
'''

But I'm not here to feed the fantasy (if I were my profile picture would graphically attest to just how much cleavage that waistcoat is capable of producing when laced up tight). I'm here to show you the ropes and so let us talk about what was really crammed into the holds of those unfortunate merchant ships that encountered our Brethren at sea. I know some of you are with me still, and I thankee.

Most of the time - and I'm talking from Ancient Roman days to right stinking now - the merchant vessel was carrying humble goods for sale to humble people in humble ports around the world. It was not uncommon for pirates during the Golden Age to come across ships taking livestock or human chattel to a Caribbean port. Molasses, rum, wine, sugar cane and cloth were also top prizes. Fruits and vegetables were not uncommon and, despite the popular picture of "scurvy dogs", guys in a crew like Blackbeard's had access to a remarkably healthy diet because of small prizes full of produce. All of these items were routinely taken to a known port where merchants were happy to trade with seamen "on the account" for the cold hard cash that bought fancy clothing, women and rum.

Of course, there were places where incredible fortunes might be stumbled upon, but these were the exception and not the rule. They were also one of the myriad reasons so many sailors chose and then stayed with the perilous life of a pirate or privateer. Venezuela had harbors what produced enormous pearls seemingly endlessly, and ships that sailed from Maracaibo and Caracas were frequently laden with this kind of wealth. Mexico was a source of gold and silver, as was Peru and whole galleons full of gold dust or silver bars were available in the time of the English sea dogs and the buccaneers.

In the Atlantic and the Indian Ocean, East India men returning from the wealthy ports of China and India frequently carried chests of jewels and bolts of silk, both of which could be traded on the West Coast of Africa or in Madagascar for enormous sums. Thomas Tew, the English pirate turned American dandy, captured a merchant in the Indian Ocean in the late 17th century that yielded a share of 3,000 pounds for every crew member. The modern equivalent would be approximately 4 million pounds. Set for life. No question.

By the privateering days of the late 18th and early 19th centuries, the treasure ships of the Spanish Main had dried up. Simple cargoes like rice, salt, ivory and indigo as well as frilly goods like lace and silk stockings or underthings were more common. Men like the Laffite brothers made multiple fortunes simply by providing a goods-starved market in the form of New Orleans under the American embargo of foreign merchandise with a one-stop, tariff free shop. They also saw an opportunity in the revolutionary enterprises of Central and South America. Ships transporting arms and munitions were a delight to a privateer. Not only could he (or she) have their pick of cannon - which were particularly hard to come by - but liberationists would happily pay top dollar for any weapons at all. Most unfortunate of all, the slave trade had not ceased but simply gone underground. Since slaves could not legally be imported into the U.S., plantation owners throughout the country flocked to Barataria or Galveston to buy smuggled men and women from the Laffites.

I'm not saying no one got rich by any means. Plenty of savvy men and women made fortunes in "the trade". And there's my argument really. Nothing was handed to them. They had to be savvy just to be able to stay alive, make a buck and have a little fun. And an evening by the fire having a few chuckles with a guy like Thomas Tew seems like a lot more fun to me than trying to drink with a skeleton.


  1. And this is why a movie like "Master & Commander" is so much better than all of the "Pirates of the Carribean" movies put together. Oh sure, there's CGI in that one too, but at least it's a little more realistic. But hey, if ya wanted realism, don't go see a Disney movie based on an amusement park ride, kids... I'm just saying... Am I not right in saying that, Pauline?

  2. Ahoy Timmy! Would you call me an aged man of war... Oh wait. That's the right response for the film but... Plus "Master and Commander" is based on O'Brian, who actually did tons of research. What the writers of PotC did besides play with toy boats is surely in question (viz: the Governor's daughter had never worn a corset before she got to the West Indies and so on).
